Request:
Now count the lines underneath that contain the word "volume" and give the number alone.
File:
/*
# YZr2Se

An optimized crystal structure of YZr2Se (PBE, the Alexandria database).

extended XYZ file:
```
4
Lattice="-2.984 8.848 -0.859 -5.885 7.093 -1.729 -5.135 7.673 1.641" Properties=species:S:1:pos:R:3 pbc="T T T"
Se -3.501 5.904 -0.237
Y -10.503 17.711 -0.711
Zr -7.213 12.163 -0.488
Zr -13.793 23.259 -0.933
```

Output
Formation energy from raw total energies ... -492 meV/atom
Calculated volume ... 24.30 A^3/atom
SG ... R-3m


BaMn2Co, relaxed, DFT GGA-PBE; formation energy from the elements = 1.5409 eV per atom; space-group type = No. 225; energy above the most stable polymorph in this dataset = 1161.2 meV/atom
1.0
2.7033 -3.2102 -1.6044
-1.0857 -4.3268 0.5367
-1.2790 -2.4512 -3.5417
Mn Co Ba
2 1 1
Cartesian
0.0847 -2.4971 -1.1524 Mn
0.2540 -7.4912 -3.4571 Mn
0.0000 0.0000 0.0000 Co
0.1693 -4.9941 -2.3047 Ba

***

BaMnCo, relaxed, DFT GGA-PBE; formation energy from the elements = 0.5914 eV per atom; space-group type = No. 107; energy above the most stable polymorph in this dataset = 294.9 meV/atom
1.0
6.2017 -0.0012 -0.0062
4.3359 4.4342 0.0062
-5.2649 -2.2257 2.4059
Ba Co Mn
1 1 1
Cartesian
10.5155 4.4236 0.0000 Ba
2.9289 1.2321 0.0000 Co
7.6309 3.2101 0.0000 Mn

***

BaMn2Co, relaxed, DFT GGA-PBE; formation energy from the elements = 0.5482 eV per atom; space-group type = No. 123; energy above the most stable polymorph in this dataset = 168.4 meV/atom
1.0
-1.0260 -1.2695 -2.6797
0.0328 -2.8402 1.3330
-7.6683 1.0549 2.4363
Ba Co Mn
1 1 2
Cartesian
-2.4137 -1.7911 -0.0643 Ba
-6.2478 -1.2637 1.1539 Co
-6.9941 0.9621 2.2221 Mn
-4.5083 0.6202 1.4323 Mn

***

BaMn2Co, relaxed, DFT GGA-PBE; formation energy from the elements = 0.5884 eV per atom; space-group type = No. 99; energy above the most stable polymorph in this dataset = 208.6 meV/atom
1.0
-3.1644 -0.8757 -0.8149
0.0719 -2.4401 2.3430
-2.6070 4.7464 5.0231
Ba Co Mn
1 1 2
Cartesian
-1.3625 2.4806 2.6253 Ba
-3.7565 2.3662 5.0228 Co
-2.5104 4.5705 4.8371 Mn
-1.9806 -0.8672 1.6009 Mn

***

BaMnCo, relaxed, DFT GGA-PBE; formation energy from the elements = 0.4676 eV per atom; space-group type = No. 1; energy above the most stable polymorph in this dataset = 171.2 meV/atom
1.0
-0.0790 3.4901 1.3163
-9.3915 -0.0291 4.7421
1.5763 -1.1408 3.1121
Mn Co Ba
2 2 2
Cartesian
-1.0279 -0.2342 4.5615 Mn
-0.7271 0.5394 2.5285 Mn
0.1449 1.7638 4.6958 Co
-1.9835 2.0825 3.7263 Co
-6.9395 1.1051 8.0607 Ba
-4.2254 0.5797 4.3322 Ba

***

BaMnCo3, relaxed, DFT GGA-PBE; formation energy from the elements = 2.7747 eV per atom; space-group type = No. 221; energy above the most stable polymorph in this dataset = 1916.2 meV/atom
1.0
-2.4597 1.5106 -3.7451
1.4750 -3.7461 -2.4798
-3.7593 -2.4582 1.4775
Mn Co Ba
1 3 1
Cartesian
-2.3720 -2.3469 -2.3737 Mn
0.7375 -1.8731 -1.2399 Co
-1.8797 -1.2291 0.7388 Co
-1.2299 0.7553 -1.8726 Co
0.0000 0.0000 0.0000 Ba

***

BaMn2Co, relaxed, DFT GGA-PBE; formation energy from the elements = 0.7405 eV per atom; space-group type = No. 71; energy above the most stable polymorph in this dataset = 360.8 meV/atom
1.0
-4.8074 1.5166 2.9935
-2.7864 -4.3809 2.7233
4.8666 3.2245 -0.5395
Ba Co Mn
1 1 2
Cartesian
-1.8688 1.6545 2.6562 Ba
-0.8583 -1.2942 2.5211 Co
-0.4237 -0.1598 0.3190 Mn
-3.3731 -1.2723 2.5394 Mn

***

BaMnCo, relaxed, DFT GGA-PBE; formation energy from the elements = 1.2092 eV per atom; space-group type = No. 194; energy above the most stable polymorph in this dataset = 912.7 meV/atom
1.0
-0.9344 -3.2173 -4.3310
0.2488 -2.1712 5.0206
-8.2196 1.1623 0.9100
Mn Co Ba
2 2 2
Cartesian
-2.0549 0.2906 0.2275 Mn
-6.1647 0.8717 0.6825 Mn
0.0000 0.0000 0.0000 Co
-4.1098 0.5812 0.4550 Co
-2.2005 -2.2294 2.1309 Ba
-6.7048 -1.9969 -0.5314 Ba

***

BaMnCo, relaxed, DFT GGA-PBE; formation energy from the elements = 0.4224 eV per atom; space-group type = No. 2; energy above the most stable polymorph in this dataset = 126.0 meV/atom
1.0
4.1486 -0.0096 0.3628
2.2161 9.2364 -1.1163
1.5959 -7.7510 5.3598
Mn Co Ba
2 2 2
Cartesian
2.9605 -1.2231 3.7184 Mn
*/
Result:
1